FreesTYLERs Podcast
[Someone pasted crystal structures at this point]
## CrO2 (PBE+U)

Data for a geometry-optimized CrO2 structure.

Cell: 2.929 9.468 9.791 Å, 90.00 90.00 90.00°
Space group C222_1 (No. 20)
Inequivalent atoms, fractional coordinates:
Cr: 0.010 0.134 0.426 [8 per cell]
O: 0.000 0.075 0.250 [4 per cell]
O: 0.007 0.238 0.601 [8 per cell]
O: 0.020 0.500 0.000 [4 per cell]

Computed properties:
**E (MP2020)**: -200.6 eV/cell
**E_tot**: -7.24 eV per atom
**Energy of formation from the pure elements**: -1.84 eV/atom


Tyler Cooke
Welcome to FreesTYLERs. The greatest podcast in the history of mankind.
How Santa REALLY Travels The World In One Night!
Tyler talks with the big man himself.
Dec 24, 2022
23 min
The ACTUAL Voice of Donald Duck!!!
In season one, episode seven of FreesTYLERs Podcast, Tyler talks to Daniel Ross, the voice of "Starscream", "Donald Duck", and "Lucky the Leprechaun". This episode was filmed back in 2021 but was re-edited/uploaded in January 2023.
May 13, 2021
15 min
Meeting the Creator of Phineas and Ferb!!!
In season one, episode six of FreesTYLERs Podcast, Tyler talks with Jeff "Swampy" Marsh, the co-creator of the Disney Channel Series, "Phineas and Ferb" and "Milo Murphy's Law". This episode was filmed back in 2021 but was re-edited/uploaded in January 2023.
May 13, 2021
25 min
Interviewing a Professional Clown
In season one, episode five of FreesTYLERs Podcast, Tyler interviews David Torres, a professional clown, magician, and entertainer. This episode was filmed back in 2021 but was re-edited/uploaded in January 2023.
Apr 29, 2021
17 min
He Found What in His Cereal?!?
In season one, episode four of FreesTYLERs Podcast, Tyler talks with Thomas from Cereal Snob. This episode was filmed back in 2021 but was re-edited in January 2023. Thomas is most likely known for his cereal videos on YouTube and Instagram. He currently has 22.5k followers on Instagram. He also has a TikTok that he posts on sometimes.
**Attached: records of crystals:**
[1]
Compound: Ti2CdO6
Source: Materials Project
Functional: PBE
Structure: optimized geometry

CIF file:
```
data_Ti2CdO6
_chemical_formula_sum 'Ti4 Cd2 O12'
_space_group_name_H-M_alt 'P 1'
_space_group_IT_number 1
_cell_length_a 5.734
_cell_length_b 6.165
_cell_length_c 7.061
_cell_angle_alpha 87.96
_cell_angle_beta 85.06
_cell_angle_gamma 89.42
loop_
_space_group_symop_operation_xyz
'x,y,z'
loop_
_atom_site_label
_atom_site_type_symbol
_atom_site_fract_x
_atom_site_fract_y
_atom_site_fract_z
_atom_site_occupancy
Ti1 Ti 0.000 0.000 0.000 1
Ti2 Ti 0.068 0.150 0.481 1
Ti3 Ti 0.496 0.666 0.005 1
Ti4 Ti 0.638 0.628 0.482 1
Cd1 Cd 0.082 0.620 0.736 1
Cd2 Cd 0.559 0.133 0.265 1
O1 O 0.058 0.012 0.739 1
O2 O 0.161 0.085 0.215 1
O3 O 0.168 0.730 0.017 1
O4 O 0.337 0.266 0.509 1
O5 O 0.464 0.662 0.713 1
O6 O 0.481 0.604 0.266 1
O7 O 0.686 0.903 0.019 1
O8 O 0.696 0.419 0.931 1
O9 O 0.791 0.880 0.446 1
O10 O 0.850 0.400 0.604 1
O11 O 0.851 0.307 0.056 1
O12 O 0.878 0.397 0.384 1
```

Values from the calculation:
- ΔE_f (eV/atom) = -2.103
- energy (eV/atom) = -7.151
- total magnetic moment (μB per atom) = 0.00
- density (g cm⁻³) = 4.06

[2]
Compound: TiCdO3
Source: Materials Project
Functional: PBE
Structure: optimized geometry

CIF file:
```
data_TiCdO3
_chemical_formula_sum 'Ti4 Cd4 O12'
_space_group_name_H-M_alt 'P n a 21'
_space_group_IT_number 33
_cell_length_a 5.494
_cell_length_b 5.360
_cell_length_c 7.812
_cell_angle_alpha 90.00
_cell_angle_beta 90.00
_cell_angle_gamma 90.00
loop_
_space_group_symop_operation_xyz
'x,y,z'
'-x,-y,z+1/2'
'-x+1/2,y+1/2,z+1/2'
'x+1/2,-y+1/2,z'
loop_
_atom_site_label
_atom_site_type_symbol
_atom_site_fract_x
_atom_site_fract_y
_atom_site_fract_z
_atom_site_occupancy
Ti1 Ti 0.010 0.001 0.000 1
Cd1 Cd 0.037 0.489 0.252 1
O1 O 0.030 0.093 0.769 1
O2 O 0.189 0.698 0.969 1
O3 O 0.221 0.707 0.566 1
```

Values from the calculation:
- ΔE_f (eV/atom) = -2.640
- energy (eV/atom) = -6.960
- total magnetic moment (μB per atom) = 0.00
- density (g cm⁻³) = 6.01

[3]
Compound: Ti2CdO6
Source: Materials Project
Functional: PBE
Structure: optimized geometry

CIF file:
```
data_Ti2CdO6
_chemical_formula_sum 'Ti2 Cd1 O6'
_space_group_name_H-M_alt 'P -3 1 m'
_space_group_IT_number 162
_space_group_name_Hall '-P 3 2'
_cell_length_a 5.2163
_cell_length_b 5.2163
_cell_length_c 4.6595
_cell_angle_alpha 90.00
_cell_angle_beta 90.00
_cell_angle_gamma 120.00
loop_
_atom_site_label
_atom_site_type_symbol
_atom_site_fract_x
_atom_site_fract_y
_atom_site_fract_z
_atom_site_occupancy
Ti1 Ti 0.3333 0.6667 0.0000 1
Cd1 Cd 0.0000 0.0000 0.5000 1
O1 O 0.0000 0.3646 0.2248 1
```

Values from the calculation:
- ΔE_f (eV/atom) = -2.483
- energy (eV/atom) = -7.180
- total magnetic moment (μB per atom) = 0.22
- density (g cm⁻³) = 4.60

* * * * *

Record 1
Compound: La5Sn3
Source: the Materials Project
Functional: PBE
Structure: relaxed

a b c (Å): 9.6207 9.6207 9.6207
angles (deg): 96.28 96.28 141.37
Closest atoms and distances in Å follow each position.
Apr 12, 2021
Data records that have nothing to do with the page.
~~~
First-principles (GGA-PBE) data for a geometry-optimized Ba2CuS2O2 structure, as listed in the Materials Project database.

Geometry as POSCAR:
```
Ba2CuS2O2
1.0
-3.3677 -2.2790 0.8435
2.3506 -2.6895 2.1184
-1.2623 4.4968 7.1099
Ba Cu S O
2 1 2 2
direct
0.5000 0.5000 0.7190
0.5000 0.5000 0.2810
0.0000 0.0000 0.5000
0.0000 0.0000 0.8764
0.0000 0.0000 0.1236
0.0000 0.5000 0.5000
0.5000 0.0000 0.5000
```

Values from the calculation:
As for the symmetry: P4/mmm (123). The calculation puts the calculated formation energy at -1848 meV/atom. The volume comes out at 146.71 Å³ per cell. Its magnetic moment is 0.00 μB per atom. The value obtained for the total energy is -5.238 eV/atom.

First-principles (GGA-PBE) data for a geometry-optimized Si2N3 structure, as listed in the Materials Project database.

Geometry as POSCAR:
```
Si2N3
1.0
0.0000 0.0000 -4.9468
-2.7666 -4.6195 0.0000
-2.7666 4.6195 0.0000
Si N
4 6
direct
0.5063 0.0238 0.6693
0.5063 0.6693 0.0238
0.0063 0.9762 0.3307
0.0063 0.3307 0.9762
0.1664 0.1038 0.6576
0.1664 0.6576 0.1038
0.6664 0.8962 0.3424
0.6664 0.3424 0.8962
0.0246 0.2227 0.2227
0.5246 0.7773 0.7773
```

Values from the calculation:
As for the symmetry: Cmc2_1 (36). The calculation puts the calculated formation energy at -857 meV/atom. The volume comes out at 126.45 Å³ per cell. Its magnetic moment is 0.20 μB per atom. The value obtained for the total energy is -7.813 eV/atom.

First-principles (GGA-PBE) data for a geometry-optimized Mo2N structure, as listed in the Materials Project database.

Geometry as POSCAR:
```
Mo2N
1.0
-2.1314 2.1314 4.0438
2.1314 -2.1314 4.0438
2.1314 2.1314 -4.0438
Mo N
4 2
direct
0.9898 0.4898 0.5000
0.2398 0.2398 0.0000
0.5102 0.0102 0.5000
0.7602 0.7602 0.0000
0.2500 0.7500 0.5000
0.5000 0.5000 0.0000
```

Values from the calculation:
As for the symmetry: I4_1/amd (141). The calculation puts the calculated formation energy at -361 meV/atom. The volume comes out at 73.48 Å³ per cell. The value obtained for the total energy is -10.250 eV/atom.

First-principles (GGA-PBE) data for a geometry-optimized PaPd3 structure, as listed in the Materials Project database.

Geometry as POSCAR:
```
PaPd3
1.0
-3.7895 0.8404 4.2150
-1.5354 -2.9010 -4.6967
1.4768 -4.3285 2.1907
Pa Pd
2 6
direct
0.6667 0.3333 0.2500
0.3333 0.6667 0.7500
0.8355 0.1645 0.7500
0.3291 0.1645 0.7500
0.8355 0.6709 0.7500
0.1645 0.8355 0.2500
0.6709 0.8355 0.2500
0.1645 0.3291 0.2500
```

Values from the calculation:
As for the symmetry: P6_3/mmc (194). The calculation puts the calculated formation energy at -774 meV/atom. The volume comes out at 144.19 Å³ per cell. The value obtained for the total energy is -7.037 eV/atom.

First-principles (GGA-PBE) data for a geometry-optimized Mg5Si9 structure, as listed in the Materials Project database.

Geometry as POSCAR:
```
Mg5Si9
1.0
-4.1894 -3.8541 -0.8065
2.4619 -5.0618 -4.5510
2.5483 -8.4965 9.0507
Mg Si
10 18
direct
0.0825 0.9399 0.7085
0.1440 0.9951 0.4539
0.9822 0.6380 0.5566
~~~
Back to the page.
36 min
Kat Curtis's Haters Helped Her Go Viral!!!
In season one, episode three of FreesTYLERs Podcast, Tyler interviews Kat Curtis about her upcoming TikTok career, including how she got recognized by one of the biggest YouTubers of all time. This episode was filmed back in 2021 but was re-edited in January 2023. Kat is most likely known for her food videos on TikTok. Kat is part of the “good burger squad”; runs the "funny or die" TikTok account with 3.4M followers and is the proud owner of the famous one-eared Uno with 1.8M followers on TikTok.
Mar 23, 2021
14 min
Is That REALLY Joey From Liv and Maddie?!?
In season one, episode two of FreesTYLERs Podcast, Tyler interviews KCay Music about TikTok, along with his music career. This episode was filmed back in 2021 but was re-edited in January 2023. (And yes, he did get his TikTok account back) K is most likely known for his blur videos on TikTok, but he’s also a fake voice actor and an Alternative Musician.
Mar 19, 2021
7 min
How Sarah Maddack Got Into Making Rap Music!!!
In season one, episode one of FreesTYLERs Podcast, Sarah Maddack talks about her transition from pop music into rap. This episode was filmed back in 2021 but was re-edited in January 2023.  Sarah is most known for her rap videos on TikTok. She first launched her account back in January 2020 and one of her most popular videos is her laying on the floor while rapping about a slug.
Mar 3, 2021
9 min